== Job ==
Please echo everything underneath exactly.
== Excerpt ==
<<<
# GGA-PBE Np2USb4, optimized geometry
# - uncorrected energy (eV/atom) = -7.722
# - formation energy from raw total energies (eV/atom) = -0.056
# - distance to the lowest polymorph of the same formula (eV/f.u.) = 0.02
# - Fermi-level density of states (states/eV/f.u.) = 23.4
# - total magnetization (Bohr magnetons per cell) = 11.4
data_Np2USb4
_cell_length_a 4.305
_cell_length_b 4.305
_cell_length_c 11.002
_cell_angle_alpha 90.00
_cell_angle_beta 90.00
_cell_angle_gamma 90.00
_space_group_name_H-M_alt 'P -4 m 2'
_space_group_IT_number 115
_space_group_name_Hall 'P -4 -2'
loop_
_atom_site_label
_atom_site_type_symbol
_atom_site_fract_x
_atom_site_fract_y
_atom_site_fract_z
Np1 Np 0.000 0.500 0.223
U1 U 0.000 0.000 0.500
>>>
== Done ==
# GGA-PBE Np2USb4, optimized geometry
# - uncorrected energy (eV/atom) = -7.722
# - formation energy from raw total energies (eV/atom) = -0.056
# - distance to the lowest polymorph of the same formula (eV/f.u.) = 0.02
# - Fermi-level density of states (states/eV/f.u.) = 23.4
# - total magnetization (Bohr magnetons per cell) = 11.4
data_Np2USb4
_cell_length_a 4.305
_cell_length_b 4.305
_cell_length_c 11.002
_cell_angle_alpha 90.00
_cell_angle_beta 90.00
_cell_angle_gamma 90.00
_space_group_name_H-M_alt 'P -4 m 2'
_space_group_IT_number 115
_space_group_name_Hall 'P -4 -2'
loop_
_atom_site_label
_atom_site_type_symbol
_atom_site_fract_x
_atom_site_fract_y
_atom_site_fract_z
Np1 Np 0.000 0.500 0.223
U1 U 0.000 0.000 0.500